Monday, May 20, 2013

Kazakhstan's History in Ten Panels: Panel 4--The Kazakhs

By the mid-15th century, the successors to Genghis Khan's Mongol Empire had lost control of their territory, split up into numerous kingdoms across Central Asia. In the 1460s, the Kazakh Khanate was born when several "Kazakh" leaders joined together and broke away from the Uzbek-dominated khanate (or kingdom) of Abu'l-Khayr Khan . This is the first time in the historical record when we hear of the Kazakhs referring to themselves as such. There is some argument about the origin of this word, but the most likely explanation is that it comes from the Turkic word qazaq, which means "to wander." Thus the Kazakhs were wandering steppe herders and warriors.

The Kazakh khanate flourished in the middle ages and came to control the area that is now Kazakhstan as well as territory that extended into Southern Siberia and present-day Uzbekistan, Kyrgyzstan, and Turkmenistan. During this time, the Kazakhs controlled much of the Silk Road, including the important cities of Tashkent, Taraz, and Turkistan, all of which experienced a cultural renaissance during the period between the 15th and 18th centuries.  

In the early 1600s, the Kazakh Khanate split into three "Juzes" or hordes. These were distinct political confederations--the Great, Middle, and Small Juzes--each of which had its own distinct geographic boundaries. At times the Juzes were united under a single leader (whom all three agreed to follow), but other times they had no common leader and were politically divided. 

This panel depicts the beginning of the end of Kazakh dominance of Kazakhstan. Notice all of the mourners, as well as the people being taken as prisoners and slaves. The years of 1723-1727 are known in Kazakh history as "the years of Great Disaster." This was the beginning of repeated Dzungar (pronounced Jungar) incursions into Kazakhstan, which coincided with several years of famine and widespread illness across the steppes. The Dzungars were a nomadic people who arose in northwestern China and southwestern Mongolia in the 17th century. In the early 18th century, they pushed westward into Kazakhstan, plundering and destroying Turkistan and Tashkent in 1724-1725. The wars with the Dzungars continued for many years, and they will continue in our next panel.

Tuesday, May 14, 2013

Kazakhstan's History in Ten Panels: Panel 3--Genghis Khan

Genghis Khan is the star of this third panel of Kazakhstan's history.  That's him sitting under the awning and receiving admiration. Some things to notice in this panel:
  • The warrior on the left has two things common to both the Mongols of Genghis Khan's day and the Kazakhs centuries later: the composite recurve bow and the hunting falcon.  The bow was made of layers of horn, wood or bamboo, and sinew which were glued together with animal glue. This design made for a very powerful bow which did not have to be too long and unwieldy (like the English long bow, whose power was a function of its size). Warriors could therefore load and shoot this bow quickly and easily while riding a horse or pony. The mounted archer formed the backbone of the Mongol army.
  • The falcon was used for hunting by the Mongols, and it would continue to be used by the Kazakhs. I learned that the Golden Eagles in Central Asia are powerful enough to take down a wolf!
  • The musician is once again playing the two-stringed dombra of the Central Asian steppes.
  • The seated figure on the right is offering a ram's head, which has long been given to the most important member or guest at a feast.  

Thoughts on the Mongols

The Mongols had consolidated control of this part of Central Asia by 1223.  In my opinion, the Mongols and Genghis Khan are often given an undeservedly bad rap in the West, where we usually associate them with violence and terror. In reality, they were no more ruthless than other soldiers of their day. Perhaps Genghis Khan differed only in his thoroughness in eliminating enemies and rivals during his rise to power and while extending his dominion. The establishment of Mongol supremacy across the Eurasian steppe brought benefits to many of the people who found themselves under Mongol domination. However, the aristocracy--who also happened to be the writers of history--typically were not better off. They lost their power to tax and control the peasants who lived at their mercy and served at their command. On the other hand, commoners experienced many benefits of unification: stability, lower taxes, safe and widespread trade, faster communication, religious tolerance, freedom to travel, and the spread of knowledge, ideas, and technology across previously closed borders.

A little bit about Genghis Khan

The boy who would become Great Khan was born in 1162 (the most commonly accepted date) in the northeast of present-day Mongolia and named Temujin by his father, one of many Mongol chieftains. The Mongols of his day were nomadic herders of sheep and horses. When Temujin was nine, his father was murdered by a rival tribe of Tatars in the continuance of an old feud. Temujin's family were abandoned by their tribe and spent the next few years struggling to survive on their own. With no livestock and few possessions, they had to hunt and gather food in order to survive. 

At the age of ten, Temujin killed his older half-brother Behter, who apparently had tried to bully him one time too many. He was captured and forced into slavery by another group of Mongols, but he escaped around the age of fourteen.  Toughened by his years in the wilderness and educated by his mother in the skills necessary to survive in the Asian steppe, Temujin was recognized as a leader and began to build up a following of his own. By 1206, he had eliminated his rivals one at a time, and he was proclaimed Genghis Khan--which translates to "oceanic ruler," i.e. universal ruler--by a great assembly of Mongols. He had consolidated power and united all of the Mongol tribes. They were now poised to break out of the Mongol steppes and start taking over the rest of the world.

The Mongols extend their reach

Now that Genghis Khan had united the Mongols, they created a formidable fighting force. Using tactics that they had honed in large and organized hunts, they invaded and took over much of China before turning westward, across the Tian Shan Mountains to the empire of Khwarezm.  Khwarezm had its power base in Persia, but it reached eastward into present-day Kazakhstan and westward into the Caucasus. 

Controlling much of the Silk Road, Khwarezm was quite a wealthy empire. According to the history books, Genghis Khan sent a caravan of Muslim merchants to Khwarezm to open trade routes between their empires, and they were massacred by the governor of Otrar, a city in present-day Kazakhstan. When the emperor of Khwarezm refused to apologize or make any sort of restitution, Genghis Khan was provoked to leave his Chinese campaign and invade Khwarezm. 

This was the war that earned the Mongols a reputation for brutality. Mongol soldiers destroyed fields and irrigation works in order to compel surrender. They laid seige to city after city, sometimes massacring entire populations of towns that resisted. By 1223, the Mongols had conquered most of present-day Kazakhstan, and the remainder of Khwarezm would come under their control during the annual campaigns of Genghis Khan's successors.

Genghis Khan died in August 1227 and was buried in a secret place in the mountains, probably close to his birthplace near the Onon River. His successors continued expanding their empire until they reached even deeper into Russia, the Caucasus, the Southwest Asia, and Eastern Europe. At its extent, the Mongol Empire was the largest the world has ever known. 

Why so much about Genghis Khan and the Mongols in a blog about Kazakhstan? Besides the fact that Kazakhstan lies squarely in the center of the Mongol Empire, Kazakhs are close cousins to the Mongol herders and warriors that reigned in the medieval steppes. 

And there will be more on that next time!

Thursday, May 9, 2013

Kazakhstan's History in Ten Panels: Panel 2--The Turkic Migration

This panel represents the migration of the Kazakhs' Turkic ancestors to the great steppes of Kazakhstan.  In the center are several Turkic scholars (an astronomer/scientist, a musician, and a writer) who represent the contributions these ancestors made to the arts and sciences. 

Notice the image of the wolf nursing the baby boy in the lower left corner--does this remind you of a famous European city's founding legend?  It looks just like depictions of Romulus and Remus that I saw in Rome.  It turns out that the Kazakhs--and other Turkic peoples--have a similar founding myth

Kazakhs are members of the Turkic linguistic group.  This group includes Mongols, Turks, Turkmen, Kyrgyz, Uzbeks, Uyghers,  Azerbaijanis, and other nations, all of whom share common ancestors from the plains of northern China and Mongolia.  The Turkic peoples migrated to the Kazakh steppes in the 5th or 6th century A.D.  Notice the representation of the yurt in the upper left corner of this panel and the mounted archers on the right.  Both of these are elements of the nomadic Turkic culture that spread across the steppes over the next several centuries.  From the 6th century until the area's consolidation under Genghis Khan in the 13th century, the Kazakh steppes and surrounding mountains were inhabited and ruled by a host of different Turkic khaganates or empires. 

This was also the period of history in which the Silk Road connecting East and West began to flourish.  The buildings in the upper right corner of this panel represent the wealthy and cosmopolitan cities that grew up along this route during this time. 

Wednesday, May 8, 2013

Kazakhstan's History in Ten Panels: Panel 1--The Scythians

Several of my students, along with some adults, have been asking me questions about Kazakhstan's history.  With the caveat that I am not an expert, I will use the Wild Apple Grove share some things that I learned on my trip.

There will be a lot of gaps here, so I would love for my Kazakhstani readers--and anyone else who is knowledgeable--to add to these posts and correct any mistakes by posting comments below.

In Independence Square in Almaty, there stands a series of ten bronze bas-relief panels that tell about the history of Kazakhstan.  I will use these panels to frame each of my posts.

The first panel depicts the famous Scythian queen Tomyris receiving the submission of the Persians after defeating Cyrus the Great on the battlefield.  According to legend, she asked for Cyrus's head upon her army's victory.  When she received it, the legend states that she dunked his head in a bowl of blood, saying "I told you I would give you your fill of blood--now drink it!"

Who were the Scythians?  They were among the first great horse-riding pastoral nomadic cultures who lived in the vast Eurasian steppes.  They seem to have inhabited the steppes of Kazakhstan, Siberia, and Eastern Europe starting around 1500 B.C.  We know some things about the Scythians from the Greek historian Herodotus, who wrote about their wars with the Persians.

Kazakhstan's famous "Golden Man" (Issyk kurgan) was created between 400-200 B.C., during the Scythian period Kazakhstan.  The Golden Man was unearthed near Almaty in 1969 and dates to the 3rd or 2nd century  B.C. Today he is a symbol of independent Kazakhstan, and there is an impressive statue of him in Independence Square in Almaty.

Tomorrow I'll talk about the successors to the Scythians.  Here's a sneak peak:

Wednesday, May 1, 2013

Happy May Day

May is a great month for holidays in Kazakhstan. Today, students and teachers have the day off to celebrate May Day.  I am wondering--do you still have parades on May Day in Kazakhstan?

The next big May holiday is Victory Day--May 9th.  This is the celebration of the day that Nazi Germany surrendered in The Great Patriotic War (which we call World War II).  Americans might be confused, because we recognize V-E Day (Victory in Europe Day) on May 8th.  The official surrender ceremony in Berlin occurred on May 8th, 1945, but because of the time difference it was May 9th in Moscow (and in the Kazakh republic, and most of the rest of the Soviet Union).  Therefore, Russia, Kazakhstan, and most of the other former Soviet republics celebrate Victory Day on May 9.

This day is very important in Kazakhstan, and schools will be closed for a four day holiday (May 9-12).  The suffering during this war was felt strongly in Kazakhstan as it was in the rest of the Soviet Union, which lost 11,000,000 soldiers and millions more civilians in the war. As a point of comparison, the United States lost 292,000 soldiers and fewer than 6000 civilians, and the United Kingdom lost 264,000 soldiers and 92,000 civilians (all of these figures are from the Encyclopedia Brittanica). 
This eternal flame at Panfilov Park in Almaty honors all
those who died in The Great Patriotic War (WWII to us).
**Update: I had erroneously posted that International Women's Day was celebrated on May 8th, but Lera corrected me--it is March 8th.  Thank you, Lera!  Also, see Lera's comments on how May Day and Victory Day are celebrated today.

Inserted here: records of crystals:
# 1
Density functional theory data (r²SCAN) for an optimized crystal structure of Te3Cl2.

Properties
The density is 4.615 Mg/m³. The electronic total energy comes out at -1.3262 Ry/atom. Its magnetization is 0.0 μB per cell. Its crystal system is monoclinic.

Lattice parameters (Å, degrees): 7.2972 8.7606 11.6578 90.00 118.81 90.00
With the nearest neighbours (Å) after each atom.
Space group P2_1/c (No. 14)
Symmetry-distinct sites (fractional):
1 Te 0.0112 0.2436 0.4135 [4 per cell]  2 Cl 2.52-2.54
2 Te 0.2961 0.6540 0.3499 [4 per cell]  2 Te 2.67-2.91
3 Te 0.3040 0.1500 0.8333 [4 per cell]  2 Te 2.67-2.87
4 Cl 0.2142 0.5188 0.6683 [4 per cell]  1 Te 2.54
5 Cl 0.2376 0.0079 0.4825 [4 per cell]  1 Te 2.52

=====

# 2
Density functional theory data (r²SCAN) for an optimized crystal structure of AcSm3.

Properties
The density is 7.598 Mg/m³. The electronic total energy comes out at -2.8973 Ry/atom. Its magnetization is 0.0 μB per cell. Its crystal system is hexagonal.

Lattice parameters (Å, degrees): 7.5951 7.5951 5.9329 90.00 90.00 120.00
With the nearest neighbours (Å) after each atom.
Space group P6_3/mmc (No. 194)
Symmetry-distinct sites (fractional):
1 Ac 0.3333 0.6667 0.2500 [2 per cell]  12 Sm 3.72-3.80
2 Sm 0.1632 0.3264 0.7500 [6 per cell]  8 Sm 3.66-3.88, 4 Ac 3.72-3.80

=====

# 3
Density functional theory data (r²SCAN) for an optimized crystal structure of AcTe3.

Properties
The density is 7.794 Mg/m³. The electronic total energy comes out at -2.7371 Ry/atom. Its magnetization is 0.0 μB per cell. Its crystal system is tetragonal.

Lattice parameters (Å, degrees): 4.6754 4.6754 11.8875 90.00 90.00 90.00
With the nearest neighbours (Å) after each atom.
Space group I4/mmm (No. 139)
Symmetry-distinct sites (fractional):
1 Ac 0.0000 0.0000 0.0000 [2 per cell]  4 Te 3.31
2 Te 0.0000 0.0000 0.5000 [2 per cell]  4 Ac 3.31
3 Te 0.0000 0.5000 0.2500 [4 per cell]  4 Te 3.31

=====

# 4
Density functional theory data (r²SCAN) for an optimized crystal structure of TmAl4Ni.

Properties
The density is 5.579 Mg/m³. The electronic total energy comes out at -0.9492 Ry/atom. Its magnetization is 0.0 μB per cell. Its crystal system is orthorhombic.

Lattice parameters (Å, degrees): 4.0202 15.1702 6.5505 90.00 90.00 90.00
With the nearest neighbours (Å) after each atom.
Space group Cmcm (No. 63)
Symmetry-distinct sites (fractional):
1 Tm 0.0000 0.1195 0.2500 [4 per cell]  11 Al 2.96-3.19, 2 Ni 3.08
2 Al 0.0000 0.0755 0.7500 [4 per cell]  1 Ni 2.29
3 Al 0.0000 0.3118 0.0529 [8 per cell]  3 Ni 2.37-2.46, 1 Al 2.58
4 Al 0.0000 0.5000 0.0000 [4 per cell]  6 Al 2.83-2.88, 4 Tm 3.16
5 Ni 0.0000 0.2267 0.7500 [4 per cell]  7 Al 2.29-2.46

=====

# 5
Density functional theory data (r²SCAN) for an optimized crystal structure of SrGe2Ir2.

Properties
The density is 10.738 Mg/m³. The electronic total energy comes out at -2.2239 Ry/atom. Its magnetization is 0.0 μB per cell. Its crystal system is tetragonal.

How do you say . . .

One of my students asked the following:
  • How do you say "Have a fun time" in Kazakhstan?
If anyone from Gymnasium #10 could answer this, it would be great!

Until we hear from you, here's my best shot at answering.

Remember, there are two major languages in Kazakhstan: Kazakh and Russian. 
I learned a little bit of Russian before I went on this trip, and I think that you would say it like this in Russian: весело провести время.  That would sound kind of like "vesyela prehvesti vrayma."  If you want to say to someone, "have a good time" I think it would be said like this: весело проведёте время (pronounced "vesyela prehveedyohtya vrayma).  

Unfortunately, I did not learn how to say very much in Kazakh beyond "rakhmet" (thank you) and "kesh zharyk" (good evening/greeting).  I will definitely need a student from Gymnasium #10 to tell us how to say "have a fun time" in Kazakh.